To do
Give back the material below exactly, please.
Source
Record 1
Structure and theoretical powder XRD pattern of ZrIr2 (DFT lattice parameters and positions (PBE); Cu Kα X-rays).
Intensities are scaled so that the largest is 1000.

Structure:
```
6
Lattice="0.0000 3.7187 3.7187 3.7187 0.0000 3.7187 3.7187 3.7187 0.0000" Properties=species:S:1:pos:R:3 pbc="T T T"
Zr 0.9297 0.9297 0.9297
Zr 6.5077 6.5077 6.5077
Ir 3.7187 1.8593 1.8593
Ir 1.8593 3.7187 1.8593
Ir 1.8593 1.8593 3.7187
Ir 3.7187 3.7187 3.7187
```

Principal peaks in the range 2θ = 15–90°, by angle:
- 2θ = 20.69°, I 410
- 2θ = 40.22°, I 1000
- 2θ = 42.09°, I 649
- 2θ = 48.99°, I 181
- 2θ = 65.18°, I 322
- 2θ = 71.80°, I 312
- 2θ = 85.64°, I 116
- 2θ = 86.88°, I 257



Record 2
Structure and theoretical powder XRD pattern of Zr5Ir3 (DFT lattice parameters and positions (PBE); Cu Kα X-rays).
Intensities are scaled so that the largest is 1000.

Structure:
```
48
Lattice="7.9902 0.0000 0.0000 -3.9951 6.9197 0.0000 0.0000 0.0000 17.2255" Properties=species:S:1:pos:R:3 pbc="T T T"
Zr -0.9915 1.7173 5.7418
Zr -3.0036 5.2024 14.3546
Zr -0.8960 1.6449 17.1056
Zr -3.0186 5.3212 2.9909
Zr 0.8960 1.6449 8.7327
Zr -2.1225 6.8732 11.3637
Zr 1.8726 0.0465 5.8618
Zr 0.9765 1.5985 14.2347
Zr 1.9830 0.0000 0.0000
Zr 0.9915 1.7173 2.8709
Zr -0.4894 4.3306 10.0482
Zr -0.1535 4.5245 1.4355
Zr 0.1535 4.5245 7.1773
Zr 0.0000 4.7903 12.9192
Zr 0.4894 4.3306 15.7901
Zr 0.0000 5.1783 4.3064
Zr 3.9951 1.7414 12.9192
Zr 3.5057 2.5891 7.1773
Zr 3.9951 2.1294 4.3064
Zr 3.8416 2.3952 15.7901
Zr 4.1486 2.3952 10.0482
Zr 4.4845 2.5891 1.4355
Zr 6.0072 0.0000 8.6128
Zr 3.0036 5.2024 11.4837
Zr 3.0186 5.3212 5.6219
Zr 2.1225 6.8732 14.4746
Zr 6.1176 0.0465 2.7510
Zr 3.0991 5.2748 0.1199
Zr 7.0137 1.5985 11.6036
Zr 4.8912 5.2748 8.4928
Ir -1.5399 2.6672 14.3546
Ir -2.4552 4.2526 5.7418
Ir -1.4970 2.8588 3.2710
Ir -2.2678 4.1938 16.8255
Ir 3.0798 0.0000 8.6128
Ir 1.5399 2.6672 11.4837
Ir 1.4970 2.8588 5.3418
Ir -0.7708 6.7868 14.7547
Ir 3.2244 0.1330 2.4708
Ir 1.7273 2.7259 0.4001
Ir 2.2678 4.1938 9.0128
Ir 0.7708 6.7868 11.0836
Ir 4.7659 0.1330 6.1419
Ir 2.4981 4.0609 13.9545
Ir 4.9104 0.0000 0.0000
Ir 2.4552 4.2526 2.8709
Ir 6.2629 2.7259 8.2127
Ir 5.4921 4.0609 11.8838
```

Principal peaks in the range 2θ = 15–90°, by angle:
- 2θ = 27.19°, I 280
- 2θ = 31.15°, I 210
- 2θ = 34.29°, I 162
- 2θ = 37.80°, I 1000
- 2θ = 38.62°, I 493
- 2θ = 39.05°, I 319
- 2θ = 44.04°, I 165
- 2θ = 50.12°, I 266



Record 3
Structure and theoretical powder XRD pattern of Zr3Ir (DFT lattice parameters and positions (PBE); Cu Kα X-rays).
Intensities are scaled so that the largest is 1000.

Structure:
```
16
Lattice="-5.4142 5.4142 2.8638 5.4142 -5.4142 2.8638 5.4142 5.4142 -2.8638" Properties=species:S:1:pos:R:3 pbc="T T T"
Zr 3.8361 0.0000 0.0000
Zr 6.9923 0.0000 0.0000
Zr 2.2305 -2.2305 1.4449
Zr 4.3781 4.3781 -1.5044
Zr 1.0361 1.0361 1.3595
Zr 0.0000 3.8361 0.0000
Zr -2.2305 2.2305 1.4449
Zr 3.1837 3.1837 1.4189
Zr 0.0000 6.9923 0.0000
Zr 1.0361 -1.0361 4.3682
Zr -1.0361 1.0361 4.3682
Zr 2.2305 2.2305 4.2827
Ir 5.4142 2.2514 0.0000
Ir 2.2514 5.4142 0.0000
Ir 3.1628 0.0000 2.8638
Ir 0.0000 3.1628 2.8638
```

Principal peaks in the range 2θ = 15–90°, by angle:
- 2θ = 24.07°, I 456
- 2θ = 33.41°, I 678
- 2θ = 33.70°, I 674
- 2θ = 35.16°, I 728
- 2θ = 37.68°, I 703
- 2θ = 39.29°, I 1000
- 2θ = 42.57°, I 402
- 2θ = 47.95°, I 444



Record 4
Structure and theoretical powder XRD pattern of Zr4Ir (DFT lattice parameters and positions (PBE); Cu Kα X-rays).
Intensities are scaled so that the largest is 1000.

Structure:
```
10
Lattice="0.0000 5.0432 5.0432 5.0432 0.0000 5.0432 5.0432 5.0432 0.0000" Properties=species:S:1:pos:R:3 pbc="T T T"
Zr 7.7418 4.8663 4.8663
Zr 2.3447 2.3447 2.3447
Zr 5.2202 5.2202 2.3447
Zr 5.2202 2.3447 5.2202
Zr 4.8663 7.7418 4.8663
Zr 4.8663 4.8663 7.7418
Zr 7.7418 7.7418 7.7418
Zr 2.3447 5.2202 5.2202
Ir 3.7824 3.7824 3.7824
Ir 6.3040 6.3040 6.3040
```

Principal peaks in the range 2θ = 15–90°, by angle:
- 2θ = 24.97°, I 886
- 2θ = 29.37°, I 341
Result
Record 1
Structure and theoretical powder XRD pattern of ZrIr2 (DFT lattice parameters and positions (PBE); Cu Kα X-rays).
Intensities are scaled so that the largest is 1000.

Structure:
```
6
Lattice="0.0000 3.7187 3.7187 3.7187 0.0000 3.7187 3.7187 3.7187 0.0000" Properties=species:S:1:pos:R:3 pbc="T T T"
Zr 0.9297 0.9297 0.9297
Zr 6.5077 6.5077 6.5077
Ir 3.7187 1.8593 1.8593
Ir 1.8593 3.7187 1.8593
Ir 1.8593 1.8593 3.7187
Ir 3.7187 3.7187 3.7187
```

Principal peaks in the range 2θ = 15–90°, by angle:
- 2θ = 20.69°, I 410
- 2θ = 40.22°, I 1000
- 2θ = 42.09°, I 649
- 2θ = 48.99°, I 181
- 2θ = 65.18°, I 322
- 2θ = 71.80°, I 312
- 2θ = 85.64°, I 116
- 2θ = 86.88°, I 257



Record 2
Structure and theoretical powder XRD pattern of Zr5Ir3 (DFT lattice parameters and positions (PBE); Cu Kα X-rays).
Intensities are scaled so that the largest is 1000.

Structure:
```
48
Lattice="7.9902 0.0000 0.0000 -3.9951 6.9197 0.0000 0.0000 0.0000 17.2255" Properties=species:S:1:pos:R:3 pbc="T T T"
Zr -0.9915 1.7173 5.7418
Zr -3.0036 5.2024 14.3546
Zr -0.8960 1.6449 17.1056
Zr -3.0186 5.3212 2.9909
Zr 0.8960 1.6449 8.7327
Zr -2.1225 6.8732 11.3637
Zr 1.8726 0.0465 5.8618
Zr 0.9765 1.5985 14.2347
Zr 1.9830 0.0000 0.0000
Zr 0.9915 1.7173 2.8709
Zr -0.4894 4.3306 10.0482
Zr -0.1535 4.5245 1.4355
Zr 0.1535 4.5245 7.1773
Zr 0.0000 4.7903 12.9192
Zr 0.4894 4.3306 15.7901
Zr 0.0000 5.1783 4.3064
Zr 3.9951 1.7414 12.9192
Zr 3.5057 2.5891 7.1773
Zr 3.9951 2.1294 4.3064
Zr 3.8416 2.3952 15.7901
Zr 4.1486 2.3952 10.0482
Zr 4.4845 2.5891 1.4355
Zr 6.0072 0.0000 8.6128
Zr 3.0036 5.2024 11.4837
Zr 3.0186 5.3212 5.6219
Zr 2.1225 6.8732 14.4746
Zr 6.1176 0.0465 2.7510
Zr 3.0991 5.2748 0.1199
Zr 7.0137 1.5985 11.6036
Zr 4.8912 5.2748 8.4928
Ir -1.5399 2.6672 14.3546
Ir -2.4552 4.2526 5.7418
Ir -1.4970 2.8588 3.2710
Ir -2.2678 4.1938 16.8255
Ir 3.0798 0.0000 8.6128
Ir 1.5399 2.6672 11.4837
Ir 1.4970 2.8588 5.3418
Ir -0.7708 6.7868 14.7547
Ir 3.2244 0.1330 2.4708
Ir 1.7273 2.7259 0.4001
Ir 2.2678 4.1938 9.0128
Ir 0.7708 6.7868 11.0836
Ir 4.7659 0.1330 6.1419
Ir 2.4981 4.0609 13.9545
Ir 4.9104 0.0000 0.0000
Ir 2.4552 4.2526 2.8709
Ir 6.2629 2.7259 8.2127
Ir 5.4921 4.0609 11.8838
```

Principal peaks in the range 2θ = 15–90°, by angle:
- 2θ = 27.19°, I 280
- 2θ = 31.15°, I 210
- 2θ = 34.29°, I 162
- 2θ = 37.80°, I 1000
- 2θ = 38.62°, I 493
- 2θ = 39.05°, I 319
- 2θ = 44.04°, I 165
- 2θ = 50.12°, I 266



Record 3
Structure and theoretical powder XRD pattern of Zr3Ir (DFT lattice parameters and positions (PBE); Cu Kα X-rays).
Intensities are scaled so that the largest is 1000.

Structure:
```
16
Lattice="-5.4142 5.4142 2.8638 5.4142 -5.4142 2.8638 5.4142 5.4142 -2.8638" Properties=species:S:1:pos:R:3 pbc="T T T"
Zr 3.8361 0.0000 0.0000
Zr 6.9923 0.0000 0.0000
Zr 2.2305 -2.2305 1.4449
Zr 4.3781 4.3781 -1.5044
Zr 1.0361 1.0361 1.3595
Zr 0.0000 3.8361 0.0000
Zr -2.2305 2.2305 1.4449
Zr 3.1837 3.1837 1.4189
Zr 0.0000 6.9923 0.0000
Zr 1.0361 -1.0361 4.3682
Zr -1.0361 1.0361 4.3682
Zr 2.2305 2.2305 4.2827
Ir 5.4142 2.2514 0.0000
Ir 2.2514 5.4142 0.0000
Ir 3.1628 0.0000 2.8638
Ir 0.0000 3.1628 2.8638
```

Principal peaks in the range 2θ = 15–90°, by angle:
- 2θ = 24.07°, I 456
- 2θ = 33.41°, I 678
- 2θ = 33.70°, I 674
- 2θ = 35.16°, I 728
- 2θ = 37.68°, I 703
- 2θ = 39.29°, I 1000
- 2θ = 42.57°, I 402
- 2θ = 47.95°, I 444



Record 4
Structure and theoretical powder XRD pattern of Zr4Ir (DFT lattice parameters and positions (PBE); Cu Kα X-rays).
Intensities are scaled so that the largest is 1000.

Structure:
```
10
Lattice="0.0000 5.0432 5.0432 5.0432 0.0000 5.0432 5.0432 5.0432 0.0000" Properties=species:S:1:pos:R:3 pbc="T T T"
Zr 7.7418 4.8663 4.8663
Zr 2.3447 2.3447 2.3447
Zr 5.2202 5.2202 2.3447
Zr 5.2202 2.3447 5.2202
Zr 4.8663 7.7418 4.8663
Zr 4.8663 4.8663 7.7418
Zr 7.7418 7.7418 7.7418
Zr 2.3447 5.2202 5.2202
Ir 3.7824 3.7824 3.7824
Ir 6.3040 6.3040 6.3040
```

Principal peaks in the range 2θ = 15–90°, by angle:
- 2θ = 24.97°, I 886
- 2θ = 29.37°, I 341